[Wanted]
Next, echo the entries underneath from the line with "-0.73666" to the end verbatim.

[Source]
- - -
No. 1
2 unconnected molecules or ions with the total composition C7H6Cl2N4O. Source: the Open Molecules 2025 dataset; level of theory: ωB97M-V/def2-TZVPD.

Calculated values
Gap between HOMO and LUMO   8.102 eV
Molar mass   233.058 g mol⁻¹
ΔE to the lowest compared entry with this formula, charge and spin   26.5 kcal/mol
Highest occupied orbital energy   -8.85 eV

Cartesian coordinates (Å):
C  0.12779  -1.73579  -1.65956
C  1.53877  -1.62358  -1.76998
C  -0.48262  -1.23245  -0.51217
C  2.28923  -1.05298  -0.73227
C  0.22470  -0.72757  0.58712
C  1.61333  -0.68771  0.45089
C  -1.16354  1.64577  1.38812
N  -1.54874  2.22645  2.39214
N  -1.66183  2.73494  -0.67950
N  -1.06500  1.84840  0.08862
N  -0.34670  -0.15116  1.75584
O  -1.50529  2.51270  -1.88211
Cl  2.57588  0.06199  1.73086
Cl  -1.96934  -0.73566  2.26624
H  -0.54511  -2.03883  -2.47572
H  2.07306  -1.94249  -2.57338
H  -1.50643  -1.05765  -0.56663
H  3.35570  -1.07300  -0.74445
H  -1.50583  1.89523  3.31127
H  -0.49804  1.13340  -0.37532

=====

No. 2
C7H6ClN3S in the gas phase. Source: the Open Molecules 2025 dataset; level of theory: ωB97M-V/def2-TZVPD.

Calculated values
Gap between HOMO and LUMO   8.556 eV
Molar mass   199.666 g mol⁻¹
ΔE to the lowest compared entry with this formula, charge and spin   56.2 kcal/mol
Highest occupied orbital energy   -8.34 eV

Cartesian coordinates (Å):
C  1.99516  0.52672  -1.30476
C  1.26613  0.28490  -0.14613
C  1.31250  0.27044  -2.53306
C  -0.48532  -0.55365  -1.49501
C  0.00165  -0.41397  -0.20421
C  -1.94363  0.98973  1.27695
C  -0.73666  -0.77899  0.96748
N  0.10611  -0.13468  -2.60500
N  -1.28706  1.42575  2.22391
N  -0.12856  -0.89411  2.17663
S  -0.16172  0.64520  3.03790
Cl  -1.82461  -2.11320  0.79997
H  3.00517  0.96617  -1.41492
H  1.74082  0.53355  0.91788
H  1.86605  0.49901  -3.52536
H  -1.36569  -0.99531  -1.68556
H  -2.79218  1.31372  0.73754
H  -0.56816  -1.57129  2.77576

=====

No. 3
C7H6ClNO3 in the gas phase. Source: the Open Molecules 2025 dataset; level of theory: ωB97M-V/def2-TZVPD.

Calculated values
Gap between HOMO and LUMO (alpha / beta)   7.912 / 7.915 eV
Molar mass   187.582 g mol⁻¹
ΔE to the lowest compared entry with this formula, charge and spin   89.8 kcal/mol
Highest occupied orbital energy (alpha / beta)   -9.51 / -9.51 eV

Cartesian coordinates (Å):
C  -1.66405  -0.13175  -1.20765
C  -1.93162  -0.33058  0.13600
C  -0.55072  0.48883  -1.56116
C  -1.10635  -0.38603  1.19389
C  1.45760  0.40351  1.61969
C  0.45815  1.14255  -0.59264
C  0.99159  0.04482  0.32485
N  1.36510  -1.08724  -0.38336
O  1.62235  -2.05697  0.29974
O  1.01952  1.28166  2.23966
O  1.32611  -1.14526  -1.59770
Cl  2.59652  -0.60642  2.42776
H  -2.34261  -0.33227  -2.02514
H  -2.89781  -0.82977  0.37825
H  -0.40768  0.67467  -2.60808
H  -1.16728  -0.58017  2.27034
H  1.28748  1.65057  -1.00193
H  -0.05631  1.79985  0.08749

* * * * *

Entry 1:
{"formula": "C6H11N", "method": "ωB97M-V/def2-TZVPD", "largest_force_ev_per_a": 2.77, "total_charge": 0, "de_lowest_kcal_mol": 64.1, "lumo_ev": 0.932, "symbols": ["C", "C", "C", "C", "C", "C", "N", "H", "H", "H", "H", "H", "H", "H", "H", "H", "H", "H"], "coordinates": [[2.11, 0.20, 0.06], [1.00, -0.71, -0.44], [-0.39, -0.08, -0.44], [-1.91, -0.98, 1.52], [-0.55, 1.16, -1.31], [-0.99, 0.04, 0.93], [-1.18, 0.72, 1.93], [2.20, 1.10, -0.57], [3.07, -0.32, 0.05], [1.91, 0.53, 1.09], [0.98, -1.63, 0.16], [1.21, -1.02, -1.48], [-1.56, -1.58, 2.35], [-3.01, -0.92, 1.52], [-1.09, -0.85, -0.78], [-1.60, 1.48, -1.31], [0.06, 1.99, -0.96], [-0.27, 0.89, -2.33]]}

***

Entry 2:
- - -

[Worked solution]
C  -0.73666  -0.77899  0.96748
N  0.10611  -0.13468  -2.60500
N  -1.28706  1.42575  2.22391
N  -0.12856  -0.89411  2.17663
S  -0.16172  0.64520  3.03790
Cl  -1.82461  -2.11320  0.79997
H  3.00517  0.96617  -1.41492
H  1.74082  0.53355  0.91788
H  1.86605  0.49901  -3.52536
H  -1.36569  -0.99531  -1.68556
H  -2.79218  1.31372  0.73754
H  -0.56816  -1.57129  2.77576

=====

No. 3
C7H6ClNO3 in the gas phase. Source: the Open Molecules 2025 dataset; level of theory: ωB97M-V/def2-TZVPD.

Calculated values
Gap between HOMO and LUMO (alpha / beta)   7.912 / 7.915 eV
Molar mass   187.582 g mol⁻¹
ΔE to the lowest compared entry with this formula, charge and spin   89.8 kcal/mol
Highest occupied orbital energy (alpha / beta)   -9.51 / -9.51 eV

Cartesian coordinates (Å):
C  -1.66405  -0.13175  -1.20765
C  -1.93162  -0.33058  0.13600
C  -0.55072  0.48883  -1.56116
C  -1.10635  -0.38603  1.19389
C  1.45760  0.40351  1.61969
C  0.45815  1.14255  -0.59264
C  0.99159  0.04482  0.32485
N  1.36510  -1.08724  -0.38336
O  1.62235  -2.05697  0.29974
O  1.01952  1.28166  2.23966
O  1.32611  -1.14526  -1.59770
Cl  2.59652  -0.60642  2.42776
H  -2.34261  -0.33227  -2.02514
H  -2.89781  -0.82977  0.37825
H  -0.40768  0.67467  -2.60808
H  -1.16728  -0.58017  2.27034
H  1.28748  1.65057  -1.00193
H  -0.05631  1.79985  0.08749

* * * * *

Entry 1:
{"formula": "C6H11N", "method": "ωB97M-V/def2-TZVPD", "largest_force_ev_per_a": 2.77, "total_charge": 0, "de_lowest_kcal_mol": 64.1, "lumo_ev": 0.932, "symbols": ["C", "C", "C", "C", "C", "C", "N", "H", "H", "H", "H", "H", "H", "H", "H", "H", "H", "H"], "coordinates": [[2.11, 0.20, 0.06], [1.00, -0.71, -0.44], [-0.39, -0.08, -0.44], [-1.91, -0.98, 1.52], [-0.55, 1.16, -1.31], [-0.99, 0.04, 0.93], [-1.18, 0.72, 1.93], [2.20, 1.10, -0.57], [3.07, -0.32, 0.05], [1.91, 0.53, 1.09], [0.98, -1.63, 0.16], [1.21, -1.02, -1.48], [-1.56, -1.58, 2.35], [-3.01, -0.92, 1.52], [-1.09, -0.85, -0.78], [-1.60, 1.48, -1.31], [0.06, 1.99, -0.96], [-0.27, 0.89, -2.33]]}

***

Entry 2: